Dec 29 2018.
views 218Having watched Mamma Mia! presented by Cinnamon Life on the opening night, I was absolutely blown away by the stellar acting of Shona White, Helen Anker and Nicky Swift playing Donna, Tanya and Rosie, respectively. Their performances were met with unwavering audience enthusiasm and cheers throughout the show - very well deserved, I might add. I recently caught up with the three wonderful actresses essaying the roles at Breeze Bar, Cinnamon Grand to talk all things Mamma Mia! Below are excerpts from the chat.
What was your life like before joining the cast of Mamma Mia!?
Helen: Goodness, it’s a good question - first time I've heard that. Well I've been an actress all my life, so it's all I know. I've done a lot of musicals, I've done a lot of plays, I've done a little bit of television and film work, but basically my entire life has been all about performing in London, in the States and now travelling Asia which has been one of the most extraordinary experiences in my life. So very happy right now.
Shona: I have worked in musical theatre for over 20 years now and yes I'm still doing it. Interesting little fact if you didn't know before I am the first actress to have played both the daughter and the mother in Mamma Mia! so I've got a long history with the show. I've been involved with it for over 17 years and I feel very privileged to have done this. From playing daughters to mothers, that's how long my careers been going on. But I'm very lucky to have a very successful career in London but this is my first international tour and it's just incredible. There's 56 of us travelling around and it's just a brilliant opportunity for us. A fantastic adventure with a brilliant show.
Nicki: Same as these girls. I mean I've worked in the industry since I was 21, so for nearly 20 years. In London and touring and couple of things internationally, but again this is my first international tour with a big show like this. It's great and it's amazing to see all these different places and come to places for the first time. I've never been to Sri Lanka before so this is exciting.
What was it like, landing this role? The characters you are playing are all such fun characters to portray on stage and then there's the icing on the cake - ABBA music.
Helen: Brilliant! I mean, wow - I don't know!
-- Attached: crystal structures --
........
(1)
## Li4InAg3 (PBE)

Data for crystalline Li4InAg3 at its relaxed geometry.

a = 17.0781 Å, b = 3.9380 Å, c = 4.3246 Å
α = 90.00°, β = 104.50°, γ = 90.00°
Last column: nearest neighbours and their distance in Å.
Element x y z (fractional)
1 Li 0.1241 0.0000 0.1236  6 Ag 2.84-2.93, 4 Li 2.86-3.02, 2 In 2.98
2 Li 0.2492 0.5000 0.2495  4 Ag 2.77-2.90, 8 Li 2.86-3.02
3 Li 0.2508 0.0000 0.7505  4 Ag 2.77-2.90, 8 Li 2.86-3.02
4 Li 0.3759 0.5000 0.8764  6 Ag 2.84-2.93, 4 Li 2.86-3.02, 2 In 2.98
5 Li 0.6241 0.5000 0.1236  6 Ag 2.84-2.93, 4 Li 2.86-3.02, 2 In 2.98
6 Li 0.7492 0.0000 0.2495  4 Ag 2.77-2.90, 8 Li 2.86-3.02
7 Li 0.7508 0.5000 0.7505  4 Ag 2.77-2.90, 8 Li 2.86-3.02
8 Li 0.8759 0.0000 0.8764  6 Ag 2.84-2.93, 4 Li 2.86-3.02, 2 In 2.98
9 In 0.0000 0.0000 0.5000  8 Ag 2.92-2.95, 4 Li 2.98
10 In 0.5000 0.5000 0.5000  8 Ag 2.92-2.95, 4 Li 2.98
11 Ag 0.0000 0.5000 0.0000  4 Li 2.84, 4 In 2.92, 4 Ag 3.08-3.09
12 Ag 0.1330 0.5000 0.6336  8 Li 2.77-2.93, 2 In 2.95, 2 Ag 3.08-3.09
13 Ag 0.3670 0.0000 0.3664  8 Li 2.77-2.93, 2 In 2.95, 2 Ag 3.08-3.09
14 Ag 0.5000 0.0000 0.0000  4 Li 2.84, 4 In 2.92, 4 Ag 3.08-3.09
15 Ag 0.6330 0.0000 0.6336  8 Li 2.77-2.93, 2 In 2.95, 2 Ag 3.08-3.09
16 Ag 0.8670 0.5000 0.3664  8 Li 2.77-2.93, 2 In 2.95, 2 Ag 3.08-3.09

Summary:
**Crystal system**: monoclinic
**Calculated density**: 5.5 g/cm³
**SG**: No. 12


(2)
## Li4InAg3 (PBE)

Data for crystalline Li4InAg3 at its relaxed geometry.

a = 9.4971 Å, b = 5.9016 Å, c = 4.8171 Å
α = 90.00°, β = 90.00°, γ = 90.00°
Last column: nearest neighbours and their distance in Å.
Element x y z (fractional)
1 Li 0.0000 0.2425 0.0000  6 Ag 2.80-2.85, 2 In 2.85, 4 Li 2.86-3.07
2 Li 0.0000 0.7575 0.0000  6 Ag 2.80-2.85, 2 In 2.85, 4 Li 2.86-3.07
3 Li 0.2500 0.2436 0.4028  6 Ag 2.80-2.88, 2 In 2.85, 4 Li 2.87-3.07
4 Li 0.2500 0.7564 0.4028  6 Ag 2.80-2.88, 2 In 2.85, 4 Li 2.87-3.07
5 Li 0.5000 0.2425 0.0000  6 Ag 2.80-2.85, 2 In 2.85, 4 Li 2.86-3.07
6 Li 0.5000 0.7575 0.0000  6 Ag 2.80-2.85, 2 In 2.85, 4 Li 2.86-3.07
7 Li 0.7500 0.2436 0.5972  6 Ag 2.80-2.88, 2 In 2.85, 4 Li 2.87-3.07
8 Li 0.7500 0.7564 0.5972  6 Ag 2.80-2.88, 2 In 2.85, 4 Li 2.87-3.07
9 In 0.0000 0.5000 0.5000  8 Li 2.85, 4 Ag 2.95-3.09
10 In 0.5000 0.5000 0.5000  8 Li 2.85, 4 Ag 2.95-3.09
11 Ag 0.0000 0.0000 0.5000  8 Li 2.80-2.81, 2 In 2.95, 2 Ag 3.06
12 Ag 0.2500 0.0000 0.9020  8 Li 2.80-2.81, 4 Ag 2.95-3.06
13 Ag 0.2500 0.5000 0.9120  8 Li 2.81-2.88, 2 Ag 2.95, 2 In 3.09
14 Ag 0.5000 0.0000 0.5000  8 Li 2.80-2.81, 2 In 2.95, 2 Ag 3.06
15 Ag 0.7500 0.0000 0.0980  8 Li 2.80-2.81, 4 Ag 2.95-3.06
16 Ag 0.7500 0.5000 0.0880  8 Li 2.81-2.88, 2 Ag 2.95, 2 In 3.09

Summary:
**Crystal system**: orthorhombic
**Calculated density**: 5.7 g/cm³
**SG**: No. 51


Energy ordering: (2) at the bottom, the next structure 58 meV/atom above.


(1)
## Li3InAg3 (PBE)

Data for crystalline Li3InAg3 at its relaxed geometry.

a = 7.3948 Å, b = 7.3948 Å, c = 7.3948 Å
α = 56.99°, β = 56.99°, γ = 56.99°
........
-- The crystal structures stop here --
Shona: I mean it's a British show and it's a gorgeous story anyway. You know sophie is young and getting married. She doesn't know who her dad is, she's got three possible dads because her mother has kept that secret from her. So it's just about the hilarity that ensues and it's a story about love and friendship and family, but at the same time, as you say, it's set to the music of ABBA and the catalogue of music is incredible. It transcends the generations. Young kids from 8 to people in their 80’s, they all know the words and there's an opportunity in the show that we love - it's one of our favourite points I think - in the finale there's a point where we encourage everyone to join us. There's Dancing Queen, Waterloo and Mamma Mia! And for us to look at the audience and see the young kids and see the older generation is just fantastic.
Nicki: It’s also great to do the show somewhere where it is sunny! And have those opportunities to kind of go on stage and pretend we're in Greece and come off it and there's actually sunny weather. In the UK we don't get sunny weather, so it's really good.
Shona you mentioned just a while ago that you all work with a large ensemble cast. What's that experience like?
Helen: It’s great. I mean, many shows have large casts but with this, because we're travelling with the same crew and the stage management and the wardrobe team -
Shona: 56 of us!
Helen: Yes, there’s so many of us. And you get to know each other so much better on a tour than you do working in London because you kind of just get to know really well the people you're working closest to. But here, because you're with everyone and you're travelling together.
Shona: And living together!
Helen: and living together, you get to know everyone that much better,which is really lovely.
Nicki: Most big musicals you do have that but of course doing it in the UK, you're working together but you're not living together. You have the opportunity to kind of get away. I mean, my last show last year was a one woman play and the total number of people was 7. That included wardrobe, everything.
Shona: You must have been so lonely!
Nicki: I was, but the crew was really nice.
Performing in a musical such as Mamma Mia!, I'm sure there have been moments that stood out - either good or bad. Is there such a moment that's still etched in your memory?
Helen: Gosh, it's interesting.
Shona: It's always interesting the first night that we get to a new venue because we have no idea what the audience is going to be like. You're not sure how much they're going to understand, whether they're going to understand the english or not. And we've had only one venue so far where we've had like translations. Audiences vary everywhere you go, so it's that thing like ‘are they going to clap? Are they going to get it?’ but without a doubt, everywhere we've been, they are with us by the end and they are either up on their feet and just - you can see it on their faces that they're just having such a good time.
Helen: Which is what it's all about. Whether they make a lot of noise during the show or not, doesn't matter in the end because we can see that they've all had a good time.
Shona: And that's the main thing. It's a family friendly night out at the theatre.
Helen: And as soon as the music comes on, of course everyone is like oh yes it's a tune and then the scenes aren't that long, so even if they don't understand there's a lot to see. And on the whole I think just from the storyline they understand enough even if they don't speak english that well. Music transcends everything...
Shona: Exactly. Especially ABBA. So accessible.
Helen: And it's so bright and the set is lovely and everyone's dancing, so there's so much to see.
Shona: There's also a lot of very good looking boys to look at. And Helen gets to do her number with all our gorgeous boys.
Nicki: Just gorgeous and handsome young men.
Helen: Terrible, terrible job to do.
Shona: Well someone's gotta do it!
All this seems like a lot of fun, but has there ever been a day where you just wake up and you're like “I really don't want to do this today”?
Shona: That's a really interesting question, and I think the girls would agree with this, and I have been involved with the show for a long time and it's one of those shows where you can be feeling tired and maybe feel like you're getting a little bit ill, you can be feeling a little bit down and a little homesick and you've been missing your family. But I'll tell you what, as soon as you get with the gang and get into that theatre and get on stage, honestly it just lifts you. It's honestly one of those shows that you can't help but be transported into this world of joy and happiness.
Nicki: You never come out of the end of the show going “ugh”
Helen: Never!
Shona: Never ever.
Nicki: So that's quite rare because you know, there are shows that make you go “ugh” -
Shona: Like Les Miserables! Everybody dies! No one dies in Mamma Mia!
Nicki: That show is hard
Helen: Yes, because of the content -
Nicki: It's really depressing and quite difficult to be able to get through and emotionally it's quite a difficult show. So in contrast, from that to this, I mean it's a whole different ball game.
I think it's quite obvious at this point how much you all enjoy playing your roles in Mamma Mia!, but what is your dream role?
Shona: I mean, there's lots of roles that I would like to play one day. There's a lot of roles I feel like I missed out on because I'm too old now and playing moms now. But that's fine. There's one role though where I think I might have to be a little bit older for, that's Norma Desmond in Sunset Boulevard. I would love to do that.
Nicki: I would love to play the mother in Dear Evan Hansen, which hasn't even come to London.
Helen: Yeah!!! Put it out there!!!
Nicki: So if anyone's reading, I'd love to do that. And I would love to play Mrs. Johnson in Blood Brothers as well.
Helen: I don't know… I'd love doing new things that haven't been done before. So I'm waiting for that thing that - because I've done a lot of new things in the past and that's sort of one of my favourite things to do. Because you're creating that character for the first time. So hopefully someone out there is writing something that will be specifically perfect for me, and I'll do it.
Pics Damith Wickramasinghe